**What to do:**
Restate the whole of the contents below without additions.
**Contents:**
+++
RbCeTe2 | GGA-PBE | relaxed

Cell and atoms, written as POSCAR:
```
RbCeTe2
1.0
-1.9754 -4.1207 1.1104
0.8751 -3.8081 -2.6169
6.3250 -4.5141 4.4585
Te Rb Ce
2 1 1
Direct
0.2654 0.2654 0.2039
0.7346 0.7346 0.7961
0.5000 0.5000 0.5000
0.0000 0.0000 0.0000
```

Output
space-group type	No. 166

***

CeRe4Si2 | GGA-PBE | relaxed

Cell and atoms, written as POSCAR:
```
CeRe4Si2
1.0
2.0760 -7.0003 0.0000
2.0760 7.0003 0.0000
0.0000 0.0000 4.0847
Re Si Ce
4 2 1
Direct
0.3053 0.6947 0.0000
0.8140 0.1860 0.5000
0.6947 0.3053 0.0000
0.1860 0.8140 0.5000
0.5871 0.4129 0.5000
0.4129 0.5871 0.5000
0.0000 0.0000 0.0000
```

Output
space-group type	No. 65

***

Number 1: E_form -1571 meV per atom. Number 2: E_form -447 meV per atom.

~~~~~

This record from the Materials Project database describes an optimized crystal structure of Li2V3CoO8. The functional is PBE with a Hubbard U.

As for the formation energy from the elements: -2.2590 eV/atom. As for the mass density: 4.14 Mg/m³. For the polymorph energy (0 for the lowest one), the calculation gives 168.0 meV per atom.

It has space group R-3m (No. 166, hexagonal axes), with a = 5.8543 Å, b = 5.8543 Å, c = 14.3412 Å, α = 90.00°, β = 90.00° and γ = 120.00°. The asymmetric unit holds Li at (0.0000, 0.0000, 0.1246), V at (0.0000, 0.5000, 0.0000), Co at (0.0000, 0.0000, 0.5000), O at (0.0000, 0.0000, 0.2612) and O at (0.0337, 0.5168, 0.2522).

~~~~~

Li9Mn2Co5O16 | the Materials Project | PBE+U | optimized geometry; space group = P1; polymorph energy (0 for the lowest one) = 49 meV per atom; ΔE_f = -1.815 eV per atom; total magnetic moment = 10.000 Bohr magnetons per cell
1.0
5.040 0.000 0.000
-1.921 7.452 0.000
-1.325 -1.531 7.647
Li O Mn Co
9 16 2 5
Direct
0.997 0.128 0.378
0.984 0.870 0.617
0.000 0.619 0.874
0.495 0.746 0.745
0.498 0.993 0.499
0.497 0.623 0.372
0.013 0.382 0.133
0.507 0.263 0.252
0.501 0.499 0.005
0.745 0.109 0.113
0.745 0.868 0.344
0.737 0.767 0.999
0.760 0.274 0.495
0.771 0.516 0.251
0.253 0.138 0.640
0.270 0.888 0.902
0.239 0.382 0.394
0.750 0.359 0.862
0.252 0.239 0.002
0.755 0.014 0.744
0.228 0.729 0.511
0.236 0.482 0.747
0.248 0.644 0.131
0.259 0.977 0.252
0.753 0.608 0.622
0.502 0.871 0.130
0.000 0.002 0.000
0.505 0.130 0.872
0.006 0.505 0.497
0.497 0.383 0.616
0.000 0.250 0.748
0.994 0.744 0.251

MnCoP2O8 | the Materials Project | PBE+U | optimized geometry; space group = R3; polymorph energy (0 for the lowest one) = 55 meV per atom; ΔE_f = -2.184 eV per atom; total magnetic moment = 20.673 Bohr magnetons per cell
1.0
7.278 -4.300 0.000
7.278 4.300 0.000
4.737 0.000 7.002
P O Co Mn
6 24 3 3
Direct
0.542 0.251 0.960
0.750 0.043 0.455
0.043 0.455 0.750
0.960 0.542 0.251
0.251 0.960 0.542
0.455 0.750 0.043
0.554 0.414 0.761
0.093 0.943 0.742
0.612 0.813 0.012
0.414 0.761 0.554
0.385 0.186 0.993
0.253 0.908 0.061
0.318 0.119 0.502
0.012 0.612 0.813
0.884 0.489 0.689
0.119 0.502 0.318
0.502 0.318 0.119
0.813 0.012 0.612
0.742 0.093 0.943
0.908 0.061 0.253
0.993 0.385 0.186
0.439 0.586 0.244
0.586 0.244 0.439
0.244 0.439 0.586
0.061 0.253 0.908
0.761 0.554 0.414
0.943 0.742 0.093
0.186 0.993 0.385
0.689 0.884 0.489
0.489 0.689 0.884
0.997 0.997 0.997
0.501 0.501 0.501
0.857 0.857 0.857
0.142 0.142 0.142
0.358 0.358 0.358
0.643 0.643 0.643

~~~~~

# V3NiO8

An optimized crystal structure of V3NiO8 (PBE with a Hubbard U, the Materials Project database).

abc: 5.392 5.652 7.098
angles: 88.90 89.26 89.86
Fractional positions:
V 0.008 0.924 0.878
V 0.500 0.577 0.372
V 0.997 0.428 0.629
Ni 0.498 0.086 0.124
O 0.316 0.947 0.919
O 0.436 0.866 0.334
O 0.925 0.623 0.819
O 0.823 0.535 0.429
O 0.324 0.463 0.571
O 0.438 0.418 0.177
O 0.940 0.118 0.680
O 0.845 0.016 0.068

## Properties
Volume (Å³ per cell): 216.3
Calculated density (g/cm3): 2.6
Energy relative to the lowest polymorph listed for this composition (meV per atom): 140
Space-group type: P1 (1)

~~~~~

Entry 1:
A plane-wave DFT calculation with PBE was carried out for a relaxed PrPaO4 crystal.
+++
**Completed:**
RbCeTe2 | GGA-PBE | relaxed

Cell and atoms, written as POSCAR:
```
RbCeTe2
1.0
-1.9754 -4.1207 1.1104
0.8751 -3.8081 -2.6169
6.3250 -4.5141 4.4585
Te Rb Ce
2 1 1
Direct
0.2654 0.2654 0.2039
0.7346 0.7346 0.7961
0.5000 0.5000 0.5000
0.0000 0.0000 0.0000
```

Output
space-group type	No. 166

***

CeRe4Si2 | GGA-PBE | relaxed

Cell and atoms, written as POSCAR:
```
CeRe4Si2
1.0
2.0760 -7.0003 0.0000
2.0760 7.0003 0.0000
0.0000 0.0000 4.0847
Re Si Ce
4 2 1
Direct
0.3053 0.6947 0.0000
0.8140 0.1860 0.5000
0.6947 0.3053 0.0000
0.1860 0.8140 0.5000
0.5871 0.4129 0.5000
0.4129 0.5871 0.5000
0.0000 0.0000 0.0000
```

Output
space-group type	No. 65

***

Number 1: E_form -1571 meV per atom. Number 2: E_form -447 meV per atom.

~~~~~

This record from the Materials Project database describes an optimized crystal structure of Li2V3CoO8. The functional is PBE with a Hubbard U.

As for the formation energy from the elements: -2.2590 eV/atom. As for the mass density: 4.14 Mg/m³. For the polymorph energy (0 for the lowest one), the calculation gives 168.0 meV per atom.

It has space group R-3m (No. 166, hexagonal axes), with a = 5.8543 Å, b = 5.8543 Å, c = 14.3412 Å, α = 90.00°, β = 90.00° and γ = 120.00°. The asymmetric unit holds Li at (0.0000, 0.0000, 0.1246), V at (0.0000, 0.5000, 0.0000), Co at (0.0000, 0.0000, 0.5000), O at (0.0000, 0.0000, 0.2612) and O at (0.0337, 0.5168, 0.2522).

~~~~~

Li9Mn2Co5O16 | the Materials Project | PBE+U | optimized geometry; space group = P1; polymorph energy (0 for the lowest one) = 49 meV per atom; ΔE_f = -1.815 eV per atom; total magnetic moment = 10.000 Bohr magnetons per cell
1.0
5.040 0.000 0.000
-1.921 7.452 0.000
-1.325 -1.531 7.647
Li O Mn Co
9 16 2 5
Direct
0.997 0.128 0.378
0.984 0.870 0.617
0.000 0.619 0.874
0.495 0.746 0.745
0.498 0.993 0.499
0.497 0.623 0.372
0.013 0.382 0.133
0.507 0.263 0.252
0.501 0.499 0.005
0.745 0.109 0.113
0.745 0.868 0.344
0.737 0.767 0.999
0.760 0.274 0.495
0.771 0.516 0.251
0.253 0.138 0.640
0.270 0.888 0.902
0.239 0.382 0.394
0.750 0.359 0.862
0.252 0.239 0.002
0.755 0.014 0.744
0.228 0.729 0.511
0.236 0.482 0.747
0.248 0.644 0.131
0.259 0.977 0.252
0.753 0.608 0.622
0.502 0.871 0.130
0.000 0.002 0.000
0.505 0.130 0.872
0.006 0.505 0.497
0.497 0.383 0.616
0.000 0.250 0.748
0.994 0.744 0.251

MnCoP2O8 | the Materials Project | PBE+U | optimized geometry; space group = R3; polymorph energy (0 for the lowest one) = 55 meV per atom; ΔE_f = -2.184 eV per atom; total magnetic moment = 20.673 Bohr magnetons per cell
1.0
7.278 -4.300 0.000
7.278 4.300 0.000
4.737 0.000 7.002
P O Co Mn
6 24 3 3
Direct
0.542 0.251 0.960
0.750 0.043 0.455
0.043 0.455 0.750
0.960 0.542 0.251
0.251 0.960 0.542
0.455 0.750 0.043
0.554 0.414 0.761
0.093 0.943 0.742
0.612 0.813 0.012
0.414 0.761 0.554
0.385 0.186 0.993
0.253 0.908 0.061
0.318 0.119 0.502
0.012 0.612 0.813
0.884 0.489 0.689
0.119 0.502 0.318
0.502 0.318 0.119
0.813 0.012 0.612
0.742 0.093 0.943
0.908 0.061 0.253
0.993 0.385 0.186
0.439 0.586 0.244
0.586 0.244 0.439
0.244 0.439 0.586
0.061 0.253 0.908
0.761 0.554 0.414
0.943 0.742 0.093
0.186 0.993 0.385
0.689 0.884 0.489
0.489 0.689 0.884
0.997 0.997 0.997
0.501 0.501 0.501
0.857 0.857 0.857
0.142 0.142 0.142
0.358 0.358 0.358
0.643 0.643 0.643

~~~~~

# V3NiO8

An optimized crystal structure of V3NiO8 (PBE with a Hubbard U, the Materials Project database).

abc: 5.392 5.652 7.098
angles: 88.90 89.26 89.86
Fractional positions:
V 0.008 0.924 0.878
V 0.500 0.577 0.372
V 0.997 0.428 0.629
Ni 0.498 0.086 0.124
O 0.316 0.947 0.919
O 0.436 0.866 0.334
O 0.925 0.623 0.819
O 0.823 0.535 0.429
O 0.324 0.463 0.571
O 0.438 0.418 0.177
O 0.940 0.118 0.680
O 0.845 0.016 0.068

## Properties
Volume (Å³ per cell): 216.3
Calculated density (g/cm3): 2.6
Energy relative to the lowest polymorph listed for this composition (meV per atom): 140
Space-group type: P1 (1)

~~~~~

Entry 1:
A plane-wave DFT calculation with PBE was carried out for a relaxed PrPaO4 crystal.